-- Data --
........
Entry 1:
Starting from a cell relaxed with PBE, the powder XRD pattern of Ge2Mo4Se3 was calculated for copper Kα.

Largest 6 diffraction maxima, by angle, 15° ≤ 2θ ≤ 90°:
- (2 0 -1), 2θ 22.7, rel. 23
- (2 0 -3), 2θ 35.0, rel. 44
- (1 1 1), 2θ 37.2, rel. 77
- (0 1 2), 2θ 39.5, rel. 100
- (3 0 0), 2θ 39.8, rel. 61
- (0 1 3), 2θ 50.0, rel. 36

Structure:
Lattice parameters (Å, degrees): 7.8357 3.0750 7.8385 90.00 119.88 90.00
Space group Pm (No. 6)
Inequivalent atoms, fractional coordinates:
Ge 0.0000 0.0000 0.0000 (multiplicity 1)
Ge 0.3324 0.5000 0.6665 (multiplicity 1)
Mo 0.0242 0.5000 0.7148 (multiplicity 1)
Mo 0.2837 0.5000 0.3103 (multiplicity 1)
Mo 0.6661 0.5000 0.3325 (multiplicity 1)
Mo 0.6891 0.5000 0.9727 (multiplicity 1)
Se 0.4646 0.0000 0.0416 (multiplicity 1)
Se 0.5765 0.0000 0.5345 (multiplicity 1)
Se 0.9577 0.0000 0.4225 (multiplicity 1)


Entry 2:
Starting from a cell relaxed with PBE, the powder XRD pattern of ZrGe2Mo was calculated for copper Kα.

Largest 6 diffraction maxima, by angle, 15° ≤ 2θ ≤ 90°:
- (1 1 1), 2θ 23.4, rel. 2
- (2 2 0), 2θ 38.7, rel. 100
- (3 1 1), 2θ 45.8, rel. 1
- (4 0 0), 2θ 55.9, rel. 17
- (4 2 2), 2θ 70.1, rel. 33
- (4 4 0), 2θ 83.1, rel. 11

Structure:
Lattice parameters (Å, degrees): 6.5774 6.5774 6.5774 90.00 90.00 90.00
Space group F-43m (No. 216)
Inequivalent atoms, fractional coordinates:
Zr 0.0000 0.0000 0.0000 (multiplicity 4)
Ge 0.0000 0.0000 0.5000 (multiplicity 4)
Ge 0.2500 0.2500 0.2500 (multiplicity 4)
Mo 0.2500 0.2500 0.7500 (multiplicity 4)


Entry 1:
Structure and theoretical X-ray diffraction stick pattern of PrHoCN2O2 (a structure optimized by DFT (GGA-PBE); Cu Kα X-rays).

Peak list (8 most intense, 15 to 90 degrees two-theta, sorted by position)
| d/Å | intensity | (hkl) |
| --- | --- | --- |
| 4.120 | 18.9 | 0 0 2 |
| 3.058 | 100.0 | 0 1 1 |
| 2.746 | 17.8 | 0 0 3 |
| 2.573 | 41.9 | 1 0 2 |
| 2.109 | 21.0 | 0 1 3 |
| 1.902 | 28.8 | 1 1 0 |
| 1.746 | 24.4 | 0 1 4 |
| 1.563 | 19.7 | 1 1 3 |

Atomic structure:
Lattice parameters (Å, degrees): 3.8033 3.8033 8.2393 90.00 90.00 120.00
Fractional coordinates of all 7 atoms:
Pr (0.0000, 0.0000, 0.0000)
Ho (0.6667, 0.3333, 0.6416)
C (0.3333, 0.6667, 0.3261)
N (0.3333, 0.6667, 0.1759)
N (0.3333, 0.6667, 0.4757)
O (0.0000, 0.0000, 0.7073)
O (0.6667, 0.3333, 0.9126)

Entry 2:
Structure and theoretical X-ray diffraction stick pattern of TbHoCN2O2 (a structure optimized by DFT (GGA-PBE); Cu Kα X-rays).

Peak list (8 most intense, 15 to 90 degrees two-theta, sorted by position)
| d/Å | intensity | (hkl) |
| --- | --- | --- |
| 4.068 | 18.5 | 0 0 2 |
| 2.985 | 100.0 | 0 1 1 |
| 2.712 | 18.8 | 0 0 3 |
| 2.519 | 43.9 | 1 0 2 |
| 2.071 | 20.4 | 0 1 3 |
| 1.853 | 28.1 | 1 1 0 |
| 1.718 | 24.6 | 0 1 4 |
| 1.530 | 20.2 | 1 1 3 |

Atomic structure:
Lattice parameters (Å, degrees): 3.7051 3.7051 8.1364 90.00 90.00 120.00
Fractional coordinates of all 7 atoms:
Tb (0.0000, 0.0000, 0.0000)
Ho (0.6667, 0.3333, 0.6455)
C (0.3333, 0.6667, 0.3232)
N (0.3333, 0.6667, 0.1716)
N (0.3333, 0.6667, 0.4748)
O (0.0000, 0.0000, 0.7173)
O (0.6667, 0.3333, 0.9233)

Entry 3:
Structure and theoretical X-ray diffraction stick pattern of YHoCN2O2 (a structure optimized by DFT (GGA-PBE); Cu Kα X-rays).

Peak list (8 most intense, 15 to 90 degrees two-theta, sorted by position)
| d/Å | intensity | (hkl) |
| --- | --- | --- |
| 4.073 | 20.1 | 0 0 2 |
| 3.200 | 20.2 | 1 0 0 |
| 2.978 | 100.0 | 0 1 1 |
| 2.516 | 42.2 | 1 0 2 |
| 2.070 | 24.0 | 0 1 3 |
| 1.847 | 28.6 | 1 1 0 |
| 1.718 | 24.4 | 0 1 4 |
| 1.527 | 18.8 | 1 1 3 |

Atomic structure:
Lattice parameters (Å, degrees): 3.6946 3.6946 8.1459 90.00 90.00 120.00
Fractional coordinates of all 7 atoms:
Y (0.0000, 0.0000, 0.0000)
Ho (0.6667, 0.3333, 0.6453)
C (0.3333, 0.6667, 0.3225)
N (0.3333, 0.6667, 0.1709)
N (0.3333, 0.6667, 0.4740)
O (0.0000, 0.0000, 0.7169)
O (0.6667, 0.3333, 0.9235)

Entry 4:
........

-- Work order --
Set down the part of the rows earlier on that starts with the line with "55.9, rel." and stops after the one with "41.9".

-- Done --
- (4 0 0), 2θ 55.9, rel. 17
- (4 2 2), 2θ 70.1, rel. 33
- (4 4 0), 2θ 83.1, rel. 11

Structure:
Lattice parameters (Å, degrees): 6.5774 6.5774 6.5774 90.00 90.00 90.00
Space group F-43m (No. 216)
Inequivalent atoms, fractional coordinates:
Zr 0.0000 0.0000 0.0000 (multiplicity 4)
Ge 0.0000 0.0000 0.5000 (multiplicity 4)
Ge 0.2500 0.2500 0.2500 (multiplicity 4)
Mo 0.2500 0.2500 0.7500 (multiplicity 4)


Entry 1:
Structure and theoretical X-ray diffraction stick pattern of PrHoCN2O2 (a structure optimized by DFT (GGA-PBE); Cu Kα X-rays).

Peak list (8 most intense, 15 to 90 degrees two-theta, sorted by position)
| d/Å | intensity | (hkl) |
| --- | --- | --- |
| 4.120 | 18.9 | 0 0 2 |
| 3.058 | 100.0 | 0 1 1 |
| 2.746 | 17.8 | 0 0 3 |
| 2.573 | 41.9 | 1 0 2 |